Duplicate all of the calculation results further below exactly, please.

Calculated powder diffraction line list of Pm2DyIn for Cu Kα (weighted mean of Kα1 and Kα2), from the GGA-PBE geometry in Alexandria.

Structure:
```
4
Lattice="3.6194 0.0000 0.0000 0.0000 3.6194 0.0000 0.0000 0.0000 9.4759" Properties=species:S:1:pos:R:3 pbc="T T T"
Pm 0.0000 0.0000 2.1594
Pm 0.0000 0.0000 7.3166
Dy 1.8097 1.8097 4.7380
In 1.8097 1.8097 0.0000
```

Main lines, by intensity (15 to 90 degrees two-theta):
d_spacing	I/Imax
2.876	100
2.559	38
1.532	30
1.739	20
1.810	13
2.369	13
1.438	11
1.448	9
1.130	8
1.169	6

=====

# Li2MnF6
Computed powder X-ray diffraction pattern, λ = 1.5418 Å (Cu Kα). Input: a DFT-relaxed cell (GGA+U, the Materials Project).
No peak broadening, texture or thermal motion is included.

Cell and atoms:
Unit cell a=8.468 b=8.476 c=10.128 alpha=85.25 beta=85.83 gamma=61.39
Fractional coordinates of all 54 atoms:
1 Li 0.000 0.000 0.000
2 Li 0.008 0.421 0.540
3 Li 0.063 0.060 0.336
4 Li 0.127 0.249 0.820
5 Li 0.349 0.329 0.301
6 Li 0.373 0.755 0.831
7 Li 0.392 0.393 0.734
8 Li 0.490 0.561 0.227
9 Li 0.562 0.834 0.323
10 Li 0.655 0.035 0.807
11 Li 0.741 0.698 0.044
12 Li 0.829 0.901 0.516
13 Mn 0.013 0.707 0.771
14 Mn 0.020 0.701 0.267
15 Mn 0.348 0.041 0.066
16 Mn 0.352 0.039 0.568
17 Mn 0.679 0.372 0.977
18 Mn 0.681 0.373 0.478
19 F 0.075 0.782 0.612
20 F 0.082 0.785 0.112
21 F 0.096 0.474 0.709
22 F 0.105 0.475 0.214
23 F 0.131 0.130 0.655
24 F 0.133 0.111 0.158
25 F 0.246 0.620 0.826
26 F 0.249 0.621 0.324
27 F 0.251 0.968 0.936
28 F 0.262 0.260 0.470
29 F 0.267 0.253 0.970
30 F 0.284 0.952 0.434
31 F 0.424 0.133 0.700
32 F 0.429 0.828 0.663
33 F 0.433 0.110 0.198
34 F 0.442 0.815 0.157
35 F 0.463 0.455 0.069
36 F 0.467 0.457 0.572
37 F 0.567 0.949 0.969
38 F 0.573 0.956 0.476
39 F 0.581 0.314 0.343
40 F 0.598 0.282 0.847
41 F 0.601 0.595 0.380
42 F 0.602 0.591 0.884
43 F 0.745 0.471 0.104
44 F 0.757 0.150 0.562
45 F 0.767 0.155 0.070
46 F 0.776 0.446 0.600
47 F 0.784 0.804 0.708
48 F 0.789 0.772 0.208
49 F 0.902 0.290 0.388
50 F 0.905 0.281 0.893
51 F 0.937 0.928 0.839
52 F 0.938 0.925 0.338
53 F 0.942 0.631 0.926
54 F 0.943 0.640 0.432

Most intense lines, 10° ≤ 2θ ≤ 90°, in order of rising 2θ:
2θ/deg	I/Imax	(hkl)
20.5	49	1 -1 0
20.7	41	0 1 2
20.9	37	1 0 2
21.0	100	1 2 0
22.4	37	1 1 -2
29.0	22	2 2 2
30.7	13	0 2 -2
41.2	16	3 0 -2
41.5	15	0 3 -2
41.7	19	2 2 4

Calculated powder diffraction line list of Pm2DyIn for Cu Kα (weighted mean of Kα1 and Kα2), from the GGA-PBE geometry in Alexandria.

Structure:
```
4
Lattice="3.6194 0.0000 0.0000 0.0000 3.6194 0.0000 0.0000 0.0000 9.4759" Properties=species:S:1:pos:R:3 pbc="T T T"
Pm 0.0000 0.0000 2.1594
Pm 0.0000 0.0000 7.3166
Dy 1.8097 1.8097 4.7380
In 1.8097 1.8097 0.0000
```

Main lines, by intensity (15 to 90 degrees two-theta):
d_spacing	I/Imax
2.876	100
2.559	38
1.532	30
1.739	20
1.810	13
2.369	13
1.438	11
1.448	9
1.130	8
1.169	6

=====

# Li2MnF6
Computed powder X-ray diffraction pattern, λ = 1.5418 Å (Cu Kα). Input: a DFT-relaxed cell (GGA+U, the Materials Project).
No peak broadening, texture or thermal motion is included.

Cell and atoms:
Unit cell a=8.468 b=8.476 c=10.128 alpha=85.25 beta=85.83 gamma=61.39
Fractional coordinates of all 54 atoms:
1 Li 0.000 0.000 0.000
2 Li 0.008 0.421 0.540
3 Li 0.063 0.060 0.336
4 Li 0.127 0.249 0.820
5 Li 0.349 0.329 0.301
6 Li 0.373 0.755 0.831
7 Li 0.392 0.393 0.734
8 Li 0.490 0.561 0.227
9 Li 0.562 0.834 0.323
10 Li 0.655 0.035 0.807
11 Li 0.741 0.698 0.044
12 Li 0.829 0.901 0.516
13 Mn 0.013 0.707 0.771
14 Mn 0.020 0.701 0.267
15 Mn 0.348 0.041 0.066
16 Mn 0.352 0.039 0.568
17 Mn 0.679 0.372 0.977
18 Mn 0.681 0.373 0.478
19 F 0.075 0.782 0.612
20 F 0.082 0.785 0.112
21 F 0.096 0.474 0.709
22 F 0.105 0.475 0.214
23 F 0.131 0.130 0.655
24 F 0.133 0.111 0.158
25 F 0.246 0.620 0.826
26 F 0.249 0.621 0.324
27 F 0.251 0.968 0.936
28 F 0.262 0.260 0.470
29 F 0.267 0.253 0.970
30 F 0.284 0.952 0.434
31 F 0.424 0.133 0.700
32 F 0.429 0.828 0.663
33 F 0.433 0.110 0.198
34 F 0.442 0.815 0.157
35 F 0.463 0.455 0.069
36 F 0.467 0.457 0.572
37 F 0.567 0.949 0.969
38 F 0.573 0.956 0.476
39 F 0.581 0.314 0.343
40 F 0.598 0.282 0.847
41 F 0.601 0.595 0.380
42 F 0.602 0.591 0.884
43 F 0.745 0.471 0.104
44 F 0.757 0.150 0.562
45 F 0.767 0.155 0.070
46 F 0.776 0.446 0.600
47 F 0.784 0.804 0.708
48 F 0.789 0.772 0.208
49 F 0.902 0.290 0.388
50 F 0.905 0.281 0.893
51 F 0.937 0.928 0.839
52 F 0.938 0.925 0.338
53 F 0.942 0.631 0.926
54 F 0.943 0.640 0.432

Most intense lines, 10° ≤ 2θ ≤ 90°, in order of rising 2θ:
2θ/deg	I/Imax	(hkl)
20.5	49	1 -1 0
20.7	41	0 1 2
20.9	37	1 0 2
21.0	100	1 2 0
22.4	37	1 1 -2
29.0	22	2 2 2
30.7	13	0 2 -2
41.2	16	3 0 -2
41.5	15	0 3 -2
41.7	19	2 2 4